Exercise:
Please echo only the lines further down with the word "GGA" in them.

File:
┌──
Record 1
Li5V3P8O29 (GGA+U, relaxed); energy relative to the lowest polymorph listed for this composition = 0.6 kJ per mole of atoms; crystal system = monoclinic; calculated total energy = -632.45 eV/cell; energy of formation = -2.61 eV/atom
1.0
4.887 8.470 0.000
-4.887 8.470 0.000
0.000 0.078 14.077
Li V P O
10 6 16 58
direct
0.334 0.763 0.941
0.336 0.903 0.440
0.763 0.334 0.441
0.903 0.336 0.940
0.764 0.899 0.940
0.899 0.764 0.440
0.235 0.666 0.560
0.666 0.235 0.060
0.044 0.979 0.005
0.979 0.044 0.505
0.003 0.434 0.749
0.000 0.563 0.248
0.434 0.003 0.249
0.563 0.000 0.748
0.435 0.564 0.754
0.564 0.435 0.254
0.314 0.775 0.159
0.311 0.911 0.655
0.775 0.314 0.659
0.669 0.666 0.869
0.666 0.669 0.369
0.911 0.311 0.155
0.082 0.220 0.338
0.773 0.913 0.158
0.220 0.082 0.838
0.913 0.773 0.658
0.084 0.693 0.842
0.332 0.336 0.631
0.336 0.332 0.131
0.226 0.684 0.340
0.693 0.084 0.342
0.684 0.226 0.840
0.230 0.768 0.429
0.336 0.741 0.667
0.201 0.990 0.918
0.343 0.917 0.171
0.467 0.618 0.169
0.512 0.674 0.832
0.618 0.467 0.669
0.768 0.230 0.929
0.741 0.336 0.167
0.511 0.813 0.327
0.470 0.905 0.669
0.674 0.512 0.332
0.675 0.661 0.975
0.661 0.675 0.475
0.813 0.511 0.827
0.616 0.912 0.173
0.674 0.812 0.827
0.917 0.343 0.671
0.013 0.194 0.240
0.990 0.201 0.418
0.981 0.227 0.062
0.905 0.470 0.169
0.812 0.674 0.327
0.082 0.257 0.840
0.912 0.616 0.673
0.746 0.911 0.661
0.194 0.013 0.740
0.227 0.981 0.562
0.799 0.988 0.424
0.257 0.082 0.340
0.074 0.381 0.330
0.911 0.746 0.161
0.186 0.333 0.682
0.079 0.537 0.831
0.988 0.799 0.924
0.000 0.768 0.566
0.013 0.789 0.743
0.083 0.659 0.341
0.333 0.186 0.182
0.381 0.074 0.830
0.194 0.478 0.177
0.342 0.318 0.026
0.318 0.342 0.526
0.326 0.487 0.669
0.537 0.079 0.331
0.478 0.194 0.677
0.256 0.658 0.845
0.201 0.793 0.248
0.226 0.796 0.068
0.381 0.526 0.326
0.487 0.326 0.169
0.526 0.381 0.826
0.659 0.083 0.841
0.768 0.000 0.066
0.789 0.013 0.243
0.658 0.256 0.345
0.796 0.226 0.568
0.793 0.201 0.748



Record 2
LiVP4O12 (GGA+U, relaxed); energy relative to the lowest polymorph listed for this composition = 1.8 kJ per mole of atoms; crystal system = monoclinic; calculated total energy = -259.69 eV/cell; energy of formation = -2.65 eV/atom
1.0
-0.583 -5.811 4.302
5.878 -0.599 4.207
-1.706 2.291 9.672
Li V P O
2 2 8 24
direct
0.000 0.500 0.000
0.500 0.000 0.500
0.556 0.444 0.250
0.444 0.556 0.750
0.751 0.229 0.978
0.789 0.809 0.199
0.191 0.211 0.301
0.771 0.249 0.522
0.229 0.751 0.478
0.809 0.789 0.699
0.211 0.191 0.801
0.249 0.771 0.022
0.770 0.312 0.088
0.310 0.150 0.654
0.380 0.230 0.320
0.966 0.198 0.850
0.716 0.000 0.062
0.588 0.348 0.902
0.000 0.284 0.438
0.150 0.310 0.154
0.312 0.770 0.588
0.652 0.412 0.598
0.770 0.620 0.180
0.198 0.966 0.350
0.802 0.034 0.650
0.230 0.380 0.820
0.348 0.588 0.402
0.688 0.230 0.412
0.850 0.690 0.846
0.000 0.716 0.562
0.412 0.652 0.098
0.284 0.000 0.938
0.034 0.802 0.150
0.620 0.770 0.680
0.690 0.850 0.346
0.230 0.688 0.912



Record 3
LiVP2O7 (GGA+U, relaxed); crystal system = triclinic; calculated total energy = -318.37 eV/cell; energy of formation = -2.70 eV/atom
1.0
5.294 4.269 -3.447
-7.759 0.010 -6.344
-5.256 4.177 3.390
Li V P O
4 4 8 28
direct
0.053 0.730 0.120
0.554 0.230 0.623
0.948 0.270 0.878
0.446 0.771 0.377
0.693 0.501 0.183
0.307 0.499 0.817
0.194 0.001 0.682
0.807 0.999 0.318
0.287 0.474 0.234
0.788 0.973 0.735
0.211 0.027 0.265
0.713 0.526 0.767
0.968 0.697 0.521
0.467 0.197 0.020
0.533 0.803 0.980
0.033 0.303 0.480
0.694 0.853 0.879
0.191 0.353 0.376
0.809 0.647 0.624
0.305 0.147 0.120
0.501 0.641 0.001
0.001 0.141 0.501
0.000 0.859 0.499
0.500 0.359 0.999
0.240 0.885 0.256
0.742 0.385 0.758
0.258 0.615 0.242
0.760 0.115 0.743
0.185 0.431 0.028
0.685 0.930 0.530
0.999 0.948 0.820
0.497 0.448 0.320
0.503 0.552 0.680
0.001 0.052 0.179
0.314 0.070 0.470
0.815 0.569 0.972
0.388 0.157 0.818
0.886 0.657 0.319
0.150 0.641 0.649
0.648 0.140 0.152
0.352 0.860 0.848
0.850 0.359 0.351
0.114 0.343 0.682
0.612 0.843 0.182



Record 4
└──

Reply:
Li5V3P8O29 (GGA+U, relaxed); energy relative to the lowest polymorph listed for this composition = 0.6 kJ per mole of atoms; crystal system = monoclinic; calculated total energy = -632.45 eV/cell; energy of formation = -2.61 eV/atom
LiVP4O12 (GGA+U, relaxed); energy relative to the lowest polymorph listed for this composition = 1.8 kJ per mole of atoms; crystal system = monoclinic; calculated total energy = -259.69 eV/cell; energy of formation = -2.65 eV/atom
LiVP2O7 (GGA+U, relaxed); crystal system = triclinic; calculated total energy = -318.37 eV/cell; energy of formation = -2.70 eV/atom